# Input
'''
# 1
First-principles (PBE with a Hubbard U) data for Li2CrFeO4 after structural relaxation, as listed in Materials Project.

CIF file:
```
data_Li2CrFeO4
_cell_length_a 5.1643
_cell_length_b 5.9524
_cell_length_c 7.8709
_cell_angle_alpha 79.12
_cell_angle_beta 77.33
_cell_angle_gamma 73.34
_symmetry_space_group_name_H-M 'P -1'
_symmetry_Int_Tables_number 2
loop_
_symmetry_equiv_pos_as_xyz
'x,y,z'
'-x,-y,-z'
loop_
_atom_site_label
_atom_site_type_symbol
_atom_site_fract_x
_atom_site_fract_y
_atom_site_fract_z
Li1 Li 0.0000 0.0000 0.0000
Li2 Li 0.0000 0.5000 0.0000
Li3 Li 0.0018 0.1646 0.3335
Li4 Li 0.0019 0.3308 0.6677
Cr1 Cr 0.4992 0.1654 0.8332
Cr2 Cr 0.5000 0.0000 0.5000
Fe1 Fe 0.4995 0.3347 0.1664
Fe2 Fe 0.5000 0.5000 0.5000
O1 O 0.2705 0.4934 0.7494
O2 O 0.2709 0.3272 0.4150
O3 O 0.2734 0.1604 0.0802
O4 O 0.2725 0.6635 0.0823
O5 O 0.2744 0.9939 0.7466
O6 O 0.2750 0.8282 0.4139
```

## Properties
ΔE to the lowest computed polymorph (meV per atom): 0
Total magnetic moment (μB per formula unit): 4.00
Formation enthalpy at 0 K (eV/atom): -2.177

# 2
First-principles (PBE with a Hubbard U) data for Sr2YCr2O7 after structural relaxation, as listed in Materials Project.

CIF file:
```
data_Sr2YCr2O7
_cell_length_a 5.4007
_cell_length_b 25.1039
_cell_length_c 5.3198
_cell_angle_alpha 90.00
_cell_angle_beta 90.00
_cell_angle_gamma 90.00
_symmetry_space_group_name_H-M 'I m m a'
_symmetry_Int_Tables_number 74
_symmetry_space_group_name_Hall '-I 2b 2'
loop_
_atom_site_label
_atom_site_type_symbol
_atom_site_fract_x
_atom_site_fract_y
_atom_site_fract_z
Sr1 Sr 0.0000 0.1779 0.0484
Y1 Y 0.0000 0.0000 0.0000
Cr1 Cr 0.0000 0.0798 0.5080
O1 O 0.0000 0.1526 0.5297
O2 O 0.2500 0.0533 0.7500
O3 O 0.2500 0.0611 0.2500
O4 O 0.2500 0.2500 0.2500
```

## Properties
Total magnetic moment (μB per formula unit): 5.79
Formation enthalpy at 0 K (eV/atom): -2.707

----------

Record 1
The following is a PBE-GGA calculation of an optimized crystal structure of FeCu3S4, from the Materials Project database.

## Properties
Formation energy from the elements (eV per formula unit): -4.274
E (eV/atom): -4.95

Cell lengths 6.3518, 6.3518, 6.3518 Å; angles 131.45, 131.45, 71.10 degrees
Element x y z (fractional)
Fe 0.0000 0.0000 0.0000
Cu 0.2500 0.7500 0.5000
Cu 0.5000 0.5000 0.0000
Cu 0.7500 0.2500 0.5000
S 0.1211 0.6338 0.0000
S 0.3662 0.3662 0.4872
S 0.6338 0.1211 0.0000
S 0.8789 0.8789 0.5128

Record 2
The following is a PBE-GGA calculation of an optimized crystal structure of NpF6, from the Materials Project database.

## Properties
Formation energy from the elements (eV per formula unit): -24.262
E (eV/atom): -6.56

Cell lengths 10.2946, 9.3288, 5.4123 Å; angles 90.00, 90.00, 90.00 degrees
Element x y z (fractional)
Np 0.1296 0.2500 0.0802
Np 0.3704 0.7500 0.5802
Np 0.6296 0.2500 0.4198
Np 0.8704 0.7500 0.9198
F 0.0156 0.2500 0.7789
F 0.0171 0.0983 0.2340
F 0.0171 0.4017 0.2340
F 0.2415 0.0975 0.9276
F 0.2415 0.4025 0.9276
F 0.2440 0.2500 0.3816
F 0.2560 0.7500 0.8816
F 0.2585 0.5975 0.4276
F 0.2585 0.9025 0.4276
F 0.4829 0.5983 0.7340
F 0.4829 0.9017 0.7340
F 0.4844 0.7500 0.2789
F 0.5156 0.2500 0.7211
F 0.5171 0.0983 0.2660
F 0.5171 0.4017 0.2660
F 0.7415 0.0975 0.5724
F 0.7415 0.4025 0.5724
F 0.7440 0.2500 0.1184
F 0.7560 0.7500 0.6184
F 0.7585 0.5975 0.0724
F 0.7585 0.9025 0.0724
F 0.9829 0.5983 0.7660
F 0.9829 0.9017 0.7660
F 0.9844 0.7500 0.2211

Record 3
The following is a PBE-GGA calculation of an optimized crystal structure of ZrS2O13, from the Materials Project database.

## Properties
Polymorph energy (0 for the lowest one) (meV/atom): 0
Formation energy from the elements (eV per formula unit): -18.309
E (eV/atom): -6.09

Cell lengths 6.7802, 8.0843, 11.7992 Å; angles 98.55, 101.09, 106.49 degrees
Element x y z (fractional)
Zr 0.0641 0.2377 0.1871
Zr 0.9359 0.7623 0.8129
S 0.0691 0.2442 0.4304
S 0.2572 0.2030 0.9369
S 0.7428 0.7970 0.0631
S 0.9309 0.7558 0.5696
O 0.0468 0.0908 0.3306
O 0.1176 0.3981 0.3645
O 0.1200 0.0089 0.9147
'''
# Brief
Search the block further up for the word "Li2CrFeO4" and transcribe each line that has it.
# Response
First-principles (PBE with a Hubbard U) data for Li2CrFeO4 after structural relaxation, as listed in Materials Project.